Credit Crunch Thread II - The Sequel

basically you can't really fk the system. The system is designed to control you and probably always will

all you can really do is make incremental, micro changes to your lifestyle - supporting your independent stores, buying at co-operatives or local markets, trying to avoid the arseholes as much as possible. But you can only do it so far, at various stages you unfortunately have to pact with the devil, be it flying on their airlines, going to their music venues, reading their propaganda, using their disposable products, listening to their inane conversations on the internet, on the victoria line, on hands free

it feels so stifling at times, you feel under constant siege - capitalism is trying to deafen you, blind you, poison you, spam you at every turn - there's only ever really occasional escape

occasionally you feel free (even if it is an illusion) when you're on a remote clifftop, but there's always someone trying to regulate you in this country, there's always some sign up everywhere you go, even on the clifftop, the view will be sponsored by powergen. Count the number of signs you see in your average day, it will run into hundreds. You want to find a growth industry in the UK? the signmaking industry, boom times, litigation and fear of litigation - a field we specialise in instead of, er, exporting cars and tin openers like intelligent countries.

So caught between the tyranny of capitalism one one level and the tentacles of the state on another and the oppressive nature of public opinion, peer pressure etc is it any wonder so many of us take to the bottle or the powder?

a trully desperate state of affairs.

Given where we are now & what we know about human weakness and strengths & our finite resources propose an alternative?

The more I see of China, the more I think they know how to organise themselves & get things done without turning the power over to corporates .... but at a massive cost to humanity and 'freedom'.

And arnachy wont work, people are short term thinking sun reading idiots by and large who will kill a man to eat.
basically you can't really fk the system. The system is designed to control you and probably always will

all you can really do is make incremental, micro changes to your lifestyle - supporting your independent stores, buying at co-operatives or local markets, trying to avoid the arseholes as much as possible. But you can only do it so far, at various stages you unfortunately have to pact with the devil, be it flying on their airlines, going to their music venues, reading their propaganda, using their disposable products, listening to their inane conversations on the internet, on the victoria line, on hands free

it feels so stifling at times, you feel under constant siege - capitalism is trying to deafen you, blind you, poison you, spam you at every turn - there's only ever really occasional escape

occasionally you feel free (even if it is an illusion) when you're on a remote clifftop, but there's always someone trying to regulate you in this country, there's always some sign up everywhere you go, even on the clifftop, the view will be sponsored by powergen. Count the number of signs you see in your average day, it will run into hundreds. You want to find a growth industry in the UK? the signmaking industry, boom times, litigation and fear of litigation - a field we specialise in instead of, er, exporting cars and tin openers like intelligent countries.

So caught between the tyranny of capitalism one one level and the tentacles of the state on another and the oppressive nature of public opinion, peer pressure etc is it any wonder so many of us take to the bottle or the powder?

a trully desperate state of affairs.

I do share your views btw!

[Next to the text, the page also holds records of molecules]
# 1
Here is one molecule with the formula C4H9N3O3 at a distorted geometry from the OMol25 dataset. Energies are from wB97M-V/def2-TZVPD.

The geometry in XYZ format:
```
19
C4H9N3O3 wB97M-V/def2-TZVPD
C -2.39 1.91 -0.63
C -1.08 1.29 -0.13
C -0.98 -0.24 -0.31
C 1.10 -1.07 0.87
H -3.28 0.99 -0.48
H -2.24 2.34 -1.85
H -2.59 2.82 -0.06
H -0.23 1.62 -0.73
H -1.17 2.59 1.31
H -1.63 -0.89 0.35
H -1.31 -0.53 -1.20
H -0.27 -0.34 2.34
H 1.43 -0.94 2.82
N 0.40 -0.85 -0.40
N 1.18 -0.68 -1.48
N 0.39 -1.04 2.14
O -0.82 1.50 1.25
O 0.73 -0.13 -2.41
O 2.29 -1.50 0.78
```

Its total energy is -14901.372 eV. Its frontier orbital gap is 0.3546 hartree. For the HOMO energy, the calculation gives -0.3451 hartree. The relative energy (zero: lowest compared OMol25 entry of this formula, charge and spin) comes out at 6.278 eV. Its SMILES is C[C@@H](O)CN(N=O)C(N)=O. Its spin multiplicity is 1. The net charge is 0. The calculation puts the LUMO energy at 0.3 eV.

Results of the natural (NBO) charge analysis, in e, for atoms 1 through 8: -0.63 0.04 -0.28 0.77 0.23 0.24 0.21 0.18

# 2
Here is a 12-piece molecular cluster, C24H23Cl44NO4S3 overall at a distorted geometry from the OMol25 dataset. Energies are from wB97M-V/def2-TZVPD.

The geometry in XYZ format:
```
99
C24H23Cl44NO4S3 wB97M-V/def2-TZVPD
O -2.62 -4.89 1.81
S -2.61 -5.43 0.42
O -3.57 -4.66 -0.41
C -0.89 -5.31 -0.16
C -0.73 -5.23 -1.71
O 0.62 -5.31 -2.19
C 0.60 -4.87 -3.55
C -0.88 -4.52 -3.97
C -1.48 -4.12 -2.53
C -1.04 -2.62 -2.41
C -0.92 -2.07 -0.94
C 0.61 -1.92 -0.60
S 0.96 -2.24 1.20
C 2.60 -3.10 1.12
S 2.68 -4.77 1.03
N 3.75 -2.24 1.13
C 4.16 -1.79 -0.22
C 5.49 -2.42 -0.77
O 6.52 -2.59 0.19
C 5.97 -3.53 1.14
C 4.87 -2.76 1.94
H -2.98 -6.76 0.49
H -0.31 -6.21 0.18
H -0.43 -4.44 0.36
H -1.21 -6.18 -2.08
H 1.14 -5.48 -4.32
H 1.20 -3.92 -3.50
H -0.77 -3.61 -4.61
H -1.44 -5.36 -4.41
H -2.58 -4.26 -2.65
H -0.11 -2.37 -2.96
H -1.85 -2.01 -2.90
H -1.48 -2.66 -0.19
H -1.38 -1.05 -0.94
H 0.95 -0.89 -0.88
H 1.19 -2.62 -1.26
H 4.14 -0.67 -0.24
H 3.35 -2.11 -0.93
H 5.84 -1.75 -1.60
H 5.26 -3.41 -1.22
H 5.57 -4.45 0.63
H 6.79 -3.83 1.84
H 5.30 -1.89 2.50
H 4.48 -3.45 2.74
C -4.49 1.65 -0.86
Cl -4.03 0.97 -2.43
Cl -3.03 2.11 0.04
Cl -5.51 3.08 -1.12
Cl -5.40 0.44 0.06
C -2.42 6.04 -2.51
Cl -1.00 6.96 -1.99
Cl -2.43 4.46 -1.70
Cl -3.90 6.92 -2.07
Cl -2.36 5.81 -4.26
C -4.10 -7.43 -4.75
Cl -3.29 -6.91 -6.24
Cl -5.85 -7.52 -5.03
Cl -3.50 -9.02 -4.26
Cl -3.76 -6.25 -3.47
C 1.60 2.54 1.00
Cl 2.86 3.78 1.13
Cl 0.75 2.39 2.56
Cl 0.46 2.99 -0.28
Cl 2.33 0.98 0.60
C -1.70 5.65 2.37
Cl -1.75 7.27 3.11
Cl -2.45 4.46 3.47
Cl -2.61 5.69 0.84
Cl -0.01 5.20 2.09
C -1.39 7.04 7.15
Cl -1.93 6.04 5.79
Cl 0.33 6.74 7.45
Cl -1.63 8.75 6.76
Cl -2.32 6.62 8.60
C 4.07 6.16 9.68
Cl 2.45 5.88 10.33
Cl 4.10 5.71 7.96
Cl 4.49 7.88 9.84
Cl 5.25 5.18 10.57
C 6.25 6.43 1.04
Cl 4.57 6.22 1.59
Cl 6.39 5.85 -0.63
Cl 6.69 8.14 1.11
Cl 7.33 5.49 2.09
C -3.38 -3.14 -7.76
Cl -3.58 -3.95 -6.19
Cl -2.03 -2.00 -7.67
Cl -3.04 -4.36 -9.00
Cl -4.86 -2.27 -8.17

I think about the promotion & the payrise I want so bad & the car & my nice new house in middle class land...what is the relevance to 'real' life, family, solving world poverty (!)..funk all....but i'm a rat on the wheel....i learn to cope with the walls around me - institutionalise myself as i'll never comprehend how/what real 'freedom' would feel like.

Particularly as an athiest, if you spend to much time trying to make sense of the purpose of the system you go mad!
How we all looking at the mo? At a lot of allegedly solid businesses popping in my game....

ha ha didnt see the original, just went off on one

bulletts flying everywhere, end of schools but no retail really hurting us. although refurbs are the way forward & we have a few biggies on the cards.

as previous rant, it's all about foreign shores to help us, china, middle east etc. bidding for work in iran, syria and libya amongst others at the mo.
I really think people get far to existential about this crap :lol:

The system is there. It exists. It feeds off itself.

We work within it to get money for food, fun, travel and a few little things (my one weakness - electronics :lol:).

If you take it any more seriously than that, no wonder it gets you down!

All animals are equal - only some are more equal than others etc.

it's not about being existential

this isn't some student union debate where we all navel-gaze and then go to the pub afterwards (believe me I did a LOT of that!)

there are critical faults with the system impacting on lives. It is right that people question whether capitalism works and whether there may be practical alternatives to leaving all the resources in the hands of the fat, greedy, nepotistic 10%
there are critical faults with the system impacting on lives. It is right that people question whether capitalism works and whether there may be practical alternatives to leaving all the resources in the hands of the fat, greedy, nepotistic 10%
It works precisely because there will always be people who aspire to become part of that 10%. That's what keeps the ideas flowing... what keeps humanity moving forward!

Forward means accepting that we're part of the same living breathing organism and return to the same place we came from when we peg it. Everyone is therefore equal (only our egos frequently tell us otherwise) and the collective is more important than the individual.

Nothing existential about that - it's just plain fact.


Every time someone benefits from capitalism, someone loses out in equal measure.

This cosmology is insanity and a large contributing factor to the reason why nature would quite like to kick us off the planet and start again.

Forward means accepting that we're part of the same living breathing organism and return to the same place we came from when we peg it. Everyone is therefore equal (only our egos frequently tell us otherwise) and the collective is more important than the individual.

Nothing existential about that - it's just plain fact.
Right... so advances in things like science, medicine, technology, agriculture - most of which are driven by capitalism. That's all moving backward? Interesting point of view... if entirely incorrect :roll:
It works precisely because there will always be people who aspire to become part of that 10%. That's what keeps the ideas flowing... what keeps humanity moving forward!

the 'american dream' only ever worked for a select few ie the elite.. for the vast majority it was a myth, a public relations exercise by the establishment to justify not introducing the welfare state/social democracy that the US should have had, like Western Europe did post-WWII

it also pre-supposes that people are solely motivated by money when the fact is humanity is not about money - it's about decency, compassion and ultimately people's creative imagination, which is what distinguishes us from the apes.

if all that matters to you is your career, making a fortune and feeding a few crumbs to the plebs to keep them quiet, then that is a shocking indictment of your morality.
the 'american dream' only ever worked for a select few ie the elite.. for the vast majority it was a myth, a public relations exercise by the establishment to justify not introducing the welfare state/social democracy that the US should have had, like Western Europe did post-WWII

it also pre-supposes that people are solely motivated by money when the fact is humanity is not about money - it's about decency, compassion and ultimately people's creative imagination, which is what distinguishes us from the apes.

if all that matters to you is your career, making a fortune and feeding a few crumbs to the plebs to keep them quiet, then that is a shocking indictment of your morality.

If that's directed at Morbs, I think it's very unfair. ( we all know he's a commie)

It's also wrong that when someone benefits from captialism, someone loses out?

Employment and trade is basically an exchange of skills, resources or knowledge.

I think people are going waaaaaaaaaay over the top on this one !:lol:
Right... so advances in things like science, medicine, technology, agriculture - most of which are driven by capitalism. That's all moving backward? Interesting point of view... if entirely incorrect :roll:

How has science and technology advanced the world exactly?

It's not the science that's the issue (far from it) but more the general attitude towards how we use it. With capitalism at the helm, most (not all) scientific discoveries are put towards achieving wealth and status.

Capitalism is about God fearing (its very roots stem from the formation of religion as a means to control - but that's an entirely different conversation).

Modern day society is not advancing by any stretch of the imagination. Indigenous cultures understood the power of the collective, only took what they needed from the land and made every decision based on seven generations.

Capitalism doesn't give us time or space to look further than the end of our noses. PANIC the FTSE is down! :roll: :roll: :roll:

Employment and trade is not a nice equal exchange of skills - it's an empire that says, "I've got more stuff!"

This isn't blown out of proportion and Morbs is a dear friend so it's nothing personal. :lol:
How has science and technology advanced the world exactly?
Oh, come on... that's not debatable. So much of what we have that's good came out of science and technology.

Simple example - I love to cook and I'd probably give it up for good without teflon frying pans :lol:

Capitalism is about God fearing (its very roots stem from the formation of religion as a means to control - but that's an entirely different conversation).

Capitalism doesn't give us time or space to look further than the end of our noses. PANIC the FTSE is down! :roll: :roll: :roll:
If you're going to panic about it, then don't put your money in stocks :lol:
(my portfolio is 5% equities, 95% cash :lol:)

Employment and trade is not a nice equal exchange of skills - it's an empire that says, "I've got more stuff!"
Whoever dies with the most toys wins :D

This isn't blown out of proportion and Morbs is a dear friend so it's nothing personal. :lol:
I didn't think you'd get that part. (:lol:)

It is actually true though.
The tenets of modern capitalism (especially land ownership) are based on the works of philosophers who often had little regard for religion.

At the same time, trade & commerce in its basic form predated modern monotheistic religions.

So no, I don't get what you mean! :lol:
Philosophy doesn't mean sh!t - like science it's the bias behind the execution that's important.

Capitalism reinforces the same 'boys club' mentality that the bible propagates.

If I even try to expand on this I will wind up in an existential cul-de-sac.

...but if interested in knowing more, I've never seen it put so eloquently as in this book. It's seriously amazing and I'd love you to read it (that's an invitation not an order though obviously).
Capitalism = A self licking ice cream cone (John translate for the UK members)

We borrow to get what we see, buy to get what other have; to keep up with the Jones, Smythes, or Khruchevs:lol::lol: